How I Help


Play therapy

Adults are great at talking about things, and it’s how we process our experiences. It turns out that kids talking doesn’t produce much change. That’s because kids use play to process their experiences, to practice what they’re learning, and to problem-solve. It’s the most developmentally appropriate approach.

Play is also the one activity that activates the most regions of the brain at once. That means we get access to much more than if we talk! Through their play, we access their worldviews, their patterns of thought, and their behavior.

In addition, play therapy always has a parent component. We meet to evaluate progress, and I work with you to develop approaches for at home. I do play therapy with kids ages 3- 10.

Check the RESOURCES page for some great videos to learn more!

Records of molecules that have nothing to do with the text
-- begin --
# 1
The following is a DFT calculation (ωB97M-V/def2-TZVPD) of a structure of composition C3H3LiNaO3 at a distorted geometry.

Results
HOMO = -0.365 Ha
E = -13911.393 eV
net charge = +1
M = 116.98 g mol⁻¹

CARTESIAN COORDINATES (ANGSTROEM)
H: -0.3573 -2.3377 1.7976
C: -0.2863 -0.8384 1.5106
C: -0.0723 -0.1436 0.2111
O: -0.1977 1.2489 0.4524
C: -0.1834 2.1021 -0.6019
O: 0.0059 1.5838 -1.7231
O: 0.6065 -1.7192 1.7603
Na: -0.1366 4.1215 -2.5452
H: -0.8168 -0.5360 -0.5062
H: 0.9096 -0.3547 -0.2492
Li: 0.5285 -3.1266 -0.1065

Cartesian forces (eV/Å) of the 6 atoms listed first:
H 2.46 1.81 1.47
C -3.36 2.79 -1.50
C 0.88 0.29 -0.03
O -0.47 -0.34 0.79
C 0.31 0.99 -1.93
O -0.25 0.26 0.52

# 2
The following is a DFT calculation (ωB97M-V/def2-TZVPD) of a structure of composition C3H3LiNdO2 at a distorted geometry.

Results
⟨S²⟩ = 6.067
HOMO (spin up / spin down) = -0.555 / -0.545 Ha
E = -22712.550 eV
net charge = +2
2S+1 = 5
M = 222.24 g mol⁻¹

CARTESIAN COORDINATES (ANGSTROEM)
O: 1.7564 -1.2443 0.3967
Li: 0.5501 -2.5947 0.1596
C: 4.8494 0.3919 1.7619
C: 4.3108 -0.8820 1.9236
O: 6.0426 -0.0568 1.1828
C: 5.5746 -1.4264 1.3029
H: 3.6591 -1.2799 2.7036
H: 5.4792 -1.8943 0.3115
H: 6.2379 -2.0222 1.9461
Nd: 1.3921 0.7963 -0.6650

Cartesian forces (eV/Å) of the 6 atoms listed first:
O -2.30 5.58 -3.75
Li 0.49 -0.23 0.42
C 1.03 -3.33 -1.14
C -0.31 0.95 1.62
O -0.18 1.70 -0.02
C -0.39 0.19 -0.38

# 3
The following is a DFT calculation (ωB97M-V/def2-TZVPD) of a structure of composition C3H3LiNiO4 at a distorted geometry.

Results
⟨S²⟩ = 2.009
HOMO (spin up / spin down) = -0.707 / -0.707 Ha
E = -52577.831 eV
net charge = +2
2S+1 = 3
M = 168.69 g mol⁻¹

CARTESIAN COORDINATES (ANGSTROEM)
C: -1.3664 0.6573 0.7711
C: -0.6053 0.7053 -0.5221
O: 0.7711 0.3701 -0.3921
C: 1.1303 -0.9836 -0.2663
O: 1.2018 -1.6819 0.7374
O: 1.6535 -1.3433 -1.3359
O: -0.9265 0.1826 1.7952
H: -2.3379 1.1876 0.7496
H: -0.6620 1.7247 -0.9240
H: -1.1465 0.0618 -1.2355
Ni: 2.4230 0.6788 -1.4796
Li: -0.1352 -1.5594 2.1022

Cartesian forces (eV/Å) of the 6 atoms listed first:
C 0.17 0.73 0.95
C -1.43 0.60 -0.61
O 0.38 0.70 1.12
C 1.53 -2.84 1.66
O -1.99 1.80 -0.12
O 1.77 1.60 -2.43

# 4
The following is a DFT calculation (ωB97M-V/def2-TZVPD) of a structure of composition C3H3LiOYb at a distorted geometry.

Results
⟨S²⟩ = 0.755
HOMO (spin up / spin down) = -0.343 / -0.343 Ha
E = -36927.634 eV
net charge = +1
2S+1 = 2
M = 235.04 g mol⁻¹

CARTESIAN COORDINATES (ANGSTROEM)
C: -0.1673 -1.1015 0.6272
O: 0.1606 1.4032 -0.1484
C: -0.8769 0.8127 0.2117
C: -1.2694 -0.7946 -0.1997
Yb: 5.3830 0.3078 0.0077
H: -1.6563 1.3716 0.7712
H: -2.3177 -1.0500 0.0550
H: -0.9378 -1.1483 -1.2016
Li: 1.6818 0.1992 -0.1230

Cartesian forces (eV/Å) of the 6 atoms listed first:
C 0.29 0.25 0.68
O -2.85 -2.18 1.00
C 1.67 1.31 -1.51
C 0.80 0.02 0.09
Yb -0.21 -0.01 -0.02
H 0.22 -0.58 -0.22

# 5
The following is a DFT calculation (ωB97M-V/def2-TZVPD) of an isolated molecule of C3H3N at a distorted geometry.

Results
HOMO = -0.301 Ha
-- stop --


Tweens and Teens

So much is happening in their brains!! Teens and Tweens can do more productive talking than younger kids, but still need some playful elements to help get the best results. This is one of the most turbulent and insecure times in life, so I adapt my approach based on their needs and developmental level. Often we’ll play games, make art, role play situations they face, and laugh at everything possible! At the same time, we’ll use the best techniques from neuroscience to help them learn how they work and how to take good care of themselves.

Teen and Tween therapy also has a similar parent component, but we often have joint sessions, with everyone together, to help boost good communication in your family.


Family Therapy

Sometimes, an outside perspective can change everything. You can drive in your car and have no idea there’s a problem with the tires. You can’t always see things clearly from the inside. Sometimes it takes someone on the outside to tell you, so you can do something about it. That’s where family therapy can be so helpful! We can combine the best of an insider and outsider perspective to find out what keeps your family stuck. Then we work together to help everyone find their part in changing things.

Imagine what it could be like to have your family be more like that dream you had for them?


Parent Coaching

I love working with parents to help them find their best approach with their kids. Every aspect of my work has parent-coaching as an integral part. Sometimes, parents just want to focus on this and can get intensive, individualized help with areas like effective discipline, reconnecting with kids who’ve become distant or angry, improving communication, and intentionally creating the culture and values you want.

Essentially, that means how to hit the targets you’re aiming for as a parent, instead of playing “whack-a mole” with the latest conflict. I hate whack-a-mole!

A very special thanks to Juliane Liebermann, Daiga Ellaby, Daniel Cheung, Michal Parzuchowski and Jessica Cao for providing the beautiful photography on this page.